You are my hero: surviving the medical mystery tour

This is one of my favourite photos of Meg from our recent trip to Byron Bay. It’s a stunning silhouette — but that’s not why I love it. I love it because it is one of the few moments in the past three years where I have seen Meg completely free and unencumbered. As she danced and twirled in the wind on Wategos beach, she had a lightness to her. After years of daily struggle, she was finally excited about the possibilities of life again…

For those who don’t know, since late 2019, Meg has been on an epically painful and unbelievably challenging medical mystery tour. Suffice to say, it has been all-encompassing: so inconceivably relentless and crippling, that it has completely broken down the person I know and love to the bare bones of her being—multiple times.

Between two parts of the text: crystal structures:
/*
# MgTe2SI, optimized geometry, DFT GGA-PBE
# mass density = 4.68 g/cm³
# electronic total energy = -2.45 eV/atom
# crystal system = tetragonal
# E_form (uncorrected) = 25.2 kJ/mol of atoms
data_MgTe2SI
_chemical_formula_sum 'Mg1 Te2 S1 I1'
_space_group_name_H-M_alt 'P 4/m m m'
_space_group_IT_number 123
_space_group_name_Hall '-P 4 2'
_cell_length_a 5.320
_cell_length_b 5.320
_cell_length_c 5.496
_cell_angle_alpha 90.00
_cell_angle_beta 90.00
_cell_angle_gamma 90.00
loop_
_atom_site_label
_atom_site_type_symbol
_atom_site_fract_x
_atom_site_fract_y
_atom_site_fract_z
Mg1 Mg 0.000 0.000 0.000
Te1 Te 0.000 0.500 0.500
S1 S 0.500 0.500 0.500
I1 I 0.500 0.500 0.000

=====

No. 1
Crystalline Ta3Cd at its relaxed geometry. Source: the Alexandria database, functional PBE. Values from VASP.

Output
**Symmetry**: C2/m
**Density**: 14.45 Mg/m³
**Volume**: 18.8 A^3/atom
**E_tot**: -35.4 eV/cell
**D(E_F)**: 0.9533 states/eV per atom

Quantum ESPRESSO input file:
```
&SYSTEM
  ibrav = 0, nat = 4, ntyp = 2
/
ATOMIC_SPECIES
Cd 112.41 Cd.upf
Ta 180.95 Ta.upf
CELL_PARAMETERS angstrom
-3.989 -3.238 -0.144
-2.770 -3.565 2.457
4.074 11.037 -0.523
ATOMIC_POSITIONS crystal
Cd 0.000 0.000 0.000
Ta 0.001 0.001 0.253
Ta 0.000 0.000 0.500
Ta 0.999 0.999 0.747
```

---

No. 2
Crystalline Nd5Mg4Sc at its relaxed geometry. Source: the Alexandria database, functional PBE. Values from VASP.

Output
**Symmetry**: P4/mmm
**Density**: 4.86 Mg/m³
**Volume**: 29.5 A^3/atom
**E_tot**: -37.2 eV/cell
**D(E_F)**: 1.2410 states/eV per atom

Quantum ESPRESSO input file:
```
&SYSTEM
  ibrav = 0, nat = 10, ntyp = 3
/
ATOMIC_SPECIES
Nd 144.24 Nd.upf
Mg 24.30 Mg.upf
Sc 44.96 Sc.upf
CELL_PARAMETERS angstrom
3.851 0.000 0.000
0.000 3.851 0.000
0.000 0.000 19.896
ATOMIC_POSITIONS crystal
Nd 0.500 0.500 0.104
Nd 0.500 0.500 0.303
Nd 0.500 0.500 0.500
Nd 0.500 0.500 0.697
Nd 0.500 0.500 0.896
Mg 0.000 0.000 0.203
Mg 0.000 0.000 0.401
Mg 0.000 0.000 0.599
Mg 0.000 0.000 0.797
Sc 0.000 0.000 0.000
```

---

No. 3
Crystalline Tc2AsAu at its relaxed geometry. Source: the Alexandria database, functional PBE. Values from VASP.

Output
**Symmetry**: P4/mmm
**Density**: 12.59 Mg/m³
**Volume**: 15.4 A^3/atom
**E_tot**: -28.0 eV/cell
**D(E_F)**: 1.1154 states/eV per atom

Quantum ESPRESSO input file:
```
&SYSTEM
  ibrav = 0, nat = 4, ntyp = 3
/
ATOMIC_SPECIES
As 74.92 As.upf
Au 196.97 Au.upf
Tc 98.00 Tc.upf
CELL_PARAMETERS angstrom
3.050 0.000 0.000
0.000 3.050 0.000
0.000 0.000 6.632
ATOMIC_POSITIONS crystal
As 0.500 0.500 0.250
Au 0.500 0.500 0.750
Tc 0.000 0.000 0.037
Tc 0.000 0.000 0.463
```

---

No. 4
Crystalline BaHOs2 at its relaxed geometry. Source: the Alexandria database, functional PBE. Values from VASP.

Output
**Symmetry**: Fm-3m
**Density**: 12.50 Mg/m³
**Volume**: 17.2 A^3/atom
**E_tot**: -18.2 eV/cell
**D(E_F)**: 1.1572 states/eV per atom

Quantum ESPRESSO input file:
```
&SYSTEM
  ibrav = 0, nat = 4, ntyp = 3
/
ATOMIC_SPECIES
H 1.01 H.upf
Os 190.23 Os.upf
Ba 137.33 Ba.upf
*/

She has withstood and survived more surgeries, medical procedures, complications and pain in three years than entire families encounter in a lifetime. Along the way, she had to give up her work, and everything else that she loved doing, for almost two years. Even basic tasks that we all take for granted every day were no longer possible. Many times, all she could do so was lie in bed, stare at the walls, and recover and heal, on repeat.

Whenever something new would come along and erase her progress or physically cripple her again, I would look at her and think, “How on earth is she going to survive this?”. But somehow, she would. And every single time her life as she knew it was taken away from her again, I would look at her and think, “This is going to mentally break her”. But it wouldn’t.

Every morning, for hundreds of consecutive days, she would wake up and try again. When I asked her how she felt, she would tell me that she had no choice but to try to get better. And so that’s what she’d do. She’d go to rehab physiotherapy, see countless doctors and specialists, and do exercise classes with people twice her age — taking baby steps towards a new reality she was trying to carve out for herself, but one she wasn’t even sure existed. And for hundreds of days in a row, I would look at her and think to myself, “If I were you, there is absolutely no way I could go on, day after day, year after year the way you do. I would have given up long ago.”

Honestly, I don’t know how she does it. I don’t know how she survives, and keeps surviving, and keeps trying to get better. The way Meg has handled years of pain, abject torture from her own body, profound uncertainty, and the repeated dismantling of almost every area of her life, while still waking up every morning, wanting to try again, is unbelievable. The strength she has displayed is the kind of strength that comes from deep within your soul. She has fought deeply personal battles on a daily basis, down in the dirt of life, as she tries to sculpt something new and beautiful from the mud that surrounds her. In fact, she doesn’t even ‘fight’ these battles, she has more grace than that. She just persists. She keeps going. She keeps walking towards the light, even when the darkness tries to pull her back in.

She won’t tell you most of this. And she won’t win any awards for it. Because the world doesn’t celebrate these kinds of struggles—the kind where you have to dig yourself out of a hole so deep that just reaching ground level takes everything you have. Forget the mountains and the stratosphere, every time Meg claws her way back to the surface, I just watch in awe at this beautiful person’s unrelenting commitment to rebuild a life for herself, any kind of life, and be there for her family.

In fact, just this past week she has dug herself out of a COVID-induced medical hole and a forgettable trip to hospital where the negligence of nurses led to a fainting episode and a black eye. Yet here she is, home again, and recovering again. Hoping to carve out some kind of life for herself — again.

Meg, I know that it often feels like there is no one there to cheer you on through the invisible trials and tribulations you navigate daily, but I am here to cheer for you. Quite simply, you in inspire me every day. You are my hero. Honestly, you are incredible.

I love you with all my heart,

